## Input
'''
DFT (r2SCAN) results for crystalline TbSmHg2 at its relaxed geometry.

Summary:
The value obtained for the electronic total energy is -162.0 eV per formula unit. The energy relative to the elements is -2.3 eV/f.u. Its volume is 26.2 A^3/atom.

Cell lengths 7.4874, 7.4874, 7.4874 Å; angles 90.00, 90.00, 90.00 degrees
Closest atoms and distances in Å follow each position.
Positions (direct):
Tb  0.0000  0.0000  0.0000  8 Hg 3.24
Tb  0.0000  0.5000  0.5000  8 Hg 3.24
Tb  0.5000  0.0000  0.5000  8 Hg 3.24
Tb  0.5000  0.5000  0.0000  8 Hg 3.24
Sm  0.0000  0.0000  0.5000  8 Hg 3.24
Sm  0.0000  0.5000  0.0000  8 Hg 3.24
Sm  0.5000  0.0000  0.0000  8 Hg 3.24
Sm  0.5000  0.5000  0.5000  8 Hg 3.24
Hg  0.2500  0.2500  0.2500  4 Tb 3.24, 4 Sm 3.24
Hg  0.2500  0.2500  0.7500  4 Tb 3.24, 4 Sm 3.24
Hg  0.2500  0.7500  0.2500  4 Tb 3.24, 4 Sm 3.24
Hg  0.2500  0.7500  0.7500  4 Tb 3.24, 4 Sm 3.24
Hg  0.7500  0.2500  0.2500  4 Tb 3.24, 4 Sm 3.24
Hg  0.7500  0.2500  0.7500  4 Tb 3.24, 4 Sm 3.24
Hg  0.7500  0.7500  0.2500  4 Tb 3.24, 4 Sm 3.24
Hg  0.7500  0.7500  0.7500  4 Tb 3.24, 4 Sm 3.24


# 1
! KCa10V7O28, optimized geometry, DFT GGA+U; values from VASP
! E (MP2020) ... -721.70 eV for the cell shown
! Density ... 3.08 g/cm3
! Total magnetization ... 0.002 μB per atom
&SYSTEM
  ibrav = 0, nat = 92, ntyp = 4
/
ATOMIC_SPECIES
K 39.10 K.upf
Ca 40.08 Ca.upf
V 50.94 V.upf
O 16.00 O.upf
CELL_PARAMETERS angstrom
13.129 -5.513 0.000
13.129 5.513 0.000
10.814 0.000 9.263
ATOMIC_POSITIONS crystal
K 0.297 0.297 0.297
K 0.797 0.797 0.797
Ca 0.480 0.480 0.480
Ca 0.637 0.075 0.027
Ca 0.911 0.324 0.915
Ca 0.027 0.637 0.075
Ca 0.915 0.911 0.324
Ca 0.419 0.002 0.045
Ca 0.824 0.411 0.415
Ca 0.411 0.415 0.824
Ca 0.075 0.027 0.637
Ca 0.324 0.915 0.911
Ca 0.980 0.980 0.980
Ca 0.575 0.137 0.527
Ca 0.527 0.575 0.137
Ca 0.137 0.527 0.575
Ca 0.919 0.545 0.502
Ca 0.002 0.045 0.419
Ca 0.502 0.919 0.545
Ca 0.415 0.824 0.411
Ca 0.045 0.419 0.002
Ca 0.545 0.502 0.919
V 0.670 0.711 0.158
V 0.211 0.170 0.658
V 0.302 0.248 0.797
V 0.158 0.670 0.711
V 0.748 0.802 0.297
V 0.802 0.297 0.748
V 0.797 0.302 0.248
V 0.712 0.712 0.712
V 0.248 0.797 0.302
V 0.658 0.211 0.170
V 0.170 0.658 0.211
V 0.297 0.748 0.802
V 0.711 0.158 0.670
V 0.212 0.212 0.212
O 0.621 0.360 0.803
O 0.072 0.857 0.642
O 0.083 0.601 0.725
O 0.104 0.116 0.843
O 0.062 0.850 0.404
O 0.882 0.579 0.715
O 0.166 0.166 0.166
O 0.108 0.832 0.871
O 0.101 0.583 0.225
O 0.583 0.225 0.101
O 0.843 0.104 0.116
O 0.357 0.572 0.142
O 0.642 0.072 0.857
O 0.604 0.343 0.616
O 0.367 0.800 0.812
O 0.332 0.608 0.371
O 0.648 0.385 0.077
O 0.385 0.077 0.648
O 0.860 0.121 0.303
O 0.666 0.666 0.666
O 0.601 0.725 0.083
O 0.371 0.332 0.608
O 0.715 0.882 0.579
O 0.360 0.803 0.621
O 0.850 0.404 0.062
O 0.725 0.083 0.601
O 0.121 0.303 0.860
O 0.803 0.621 0.360
O 0.579 0.715 0.882
O 0.350 0.562 0.904
O 0.382 0.215 0.079
O 0.832 0.871 0.108
O 0.800 0.812 0.367
O 0.608 0.371 0.332
O 0.867 0.312 0.300
O 0.812 0.367 0.800
O 0.142 0.357 0.572
O 0.343 0.616 0.604
O 0.404 0.062 0.850
O 0.148 0.577 0.885
O 0.616 0.604 0.343
O 0.885 0.148 0.577
O 0.857 0.642 0.072
O 0.562 0.904 0.350
O 0.577 0.885 0.148
O 0.215 0.079 0.382
O 0.303 0.860 0.121
O 0.300 0.867 0.312
O 0.225 0.101 0.583
O 0.871 0.108 0.832
O 0.312 0.300 0.867
O 0.079 0.382 0.215
O 0.077 0.648 0.385
O 0.116 0.843 0.104
O 0.572 0.142 0.357
O 0.904 0.350 0.562

# 2
! K4CaW3O12, optimized geometry, DFT GGA+U; values from VASP
! E (MP2020) ... -151.64 eV for the cell shown
! Density ... 5.65 g/cm3
! Total magnetization ... 0.000 μB per atom
&SYSTEM
  ibrav = 0, nat = 20, ntyp = 4
/
ATOMIC_SPECIES
K 39.10 K.upf
Ca 40.08 Ca.upf
W 183.84 W.upf
O 16.00 O.upf
CELL_PARAMETERS angstrom
-4.103 4.103 4.103
4.103 -4.103 4.103
4.103 4.103 -4.103
ATOMIC_POSITIONS crystal
K 0.000 0.500 0.000
K 0.500 0.000 0.000
K 0.000 0.000 0.500
K 0.500 0.500 0.500
Ca 0.000 0.000 0.000
W 0.500 0.000 0.500
W 0.000 0.500 0.500
W 0.500 0.500 0.000
O 0.250 0.750 0.500
O 0.750 0.500 0.250
O 0.250 0.500 0.750
'''

## Wanted
Now return the notes further up without additions.

## Written answer
DFT (r2SCAN) results for crystalline TbSmHg2 at its relaxed geometry.

Summary:
The value obtained for the electronic total energy is -162.0 eV per formula unit. The energy relative to the elements is -2.3 eV/f.u. Its volume is 26.2 A^3/atom.

Cell lengths 7.4874, 7.4874, 7.4874 Å; angles 90.00, 90.00, 90.00 degrees
Closest atoms and distances in Å follow each position.
Positions (direct):
Tb  0.0000  0.0000  0.0000  8 Hg 3.24
Tb  0.0000  0.5000  0.5000  8 Hg 3.24
Tb  0.5000  0.0000  0.5000  8 Hg 3.24
Tb  0.5000  0.5000  0.0000  8 Hg 3.24
Sm  0.0000  0.0000  0.5000  8 Hg 3.24
Sm  0.0000  0.5000  0.0000  8 Hg 3.24
Sm  0.5000  0.0000  0.0000  8 Hg 3.24
Sm  0.5000  0.5000  0.5000  8 Hg 3.24
Hg  0.2500  0.2500  0.2500  4 Tb 3.24, 4 Sm 3.24
Hg  0.2500  0.2500  0.7500  4 Tb 3.24, 4 Sm 3.24
Hg  0.2500  0.7500  0.2500  4 Tb 3.24, 4 Sm 3.24
Hg  0.2500  0.7500  0.7500  4 Tb 3.24, 4 Sm 3.24
Hg  0.7500  0.2500  0.2500  4 Tb 3.24, 4 Sm 3.24
Hg  0.7500  0.2500  0.7500  4 Tb 3.24, 4 Sm 3.24
Hg  0.7500  0.7500  0.2500  4 Tb 3.24, 4 Sm 3.24
Hg  0.7500  0.7500  0.7500  4 Tb 3.24, 4 Sm 3.24


# 1
! KCa10V7O28, optimized geometry, DFT GGA+U; values from VASP
! E (MP2020) ... -721.70 eV for the cell shown
! Density ... 3.08 g/cm3
! Total magnetization ... 0.002 μB per atom
&SYSTEM
  ibrav = 0, nat = 92, ntyp = 4
/
ATOMIC_SPECIES
K 39.10 K.upf
Ca 40.08 Ca.upf
V 50.94 V.upf
O 16.00 O.upf
CELL_PARAMETERS angstrom
13.129 -5.513 0.000
13.129 5.513 0.000
10.814 0.000 9.263
ATOMIC_POSITIONS crystal
K 0.297 0.297 0.297
K 0.797 0.797 0.797
Ca 0.480 0.480 0.480
Ca 0.637 0.075 0.027
Ca 0.911 0.324 0.915
Ca 0.027 0.637 0.075
Ca 0.915 0.911 0.324
Ca 0.419 0.002 0.045
Ca 0.824 0.411 0.415
Ca 0.411 0.415 0.824
Ca 0.075 0.027 0.637
Ca 0.324 0.915 0.911
Ca 0.980 0.980 0.980
Ca 0.575 0.137 0.527
Ca 0.527 0.575 0.137
Ca 0.137 0.527 0.575
Ca 0.919 0.545 0.502
Ca 0.002 0.045 0.419
Ca 0.502 0.919 0.545
Ca 0.415 0.824 0.411
Ca 0.045 0.419 0.002
Ca 0.545 0.502 0.919
V 0.670 0.711 0.158
V 0.211 0.170 0.658
V 0.302 0.248 0.797
V 0.158 0.670 0.711
V 0.748 0.802 0.297
V 0.802 0.297 0.748
V 0.797 0.302 0.248
V 0.712 0.712 0.712
V 0.248 0.797 0.302
V 0.658 0.211 0.170
V 0.170 0.658 0.211
V 0.297 0.748 0.802
V 0.711 0.158 0.670
V 0.212 0.212 0.212
O 0.621 0.360 0.803
O 0.072 0.857 0.642
O 0.083 0.601 0.725
O 0.104 0.116 0.843
O 0.062 0.850 0.404
O 0.882 0.579 0.715
O 0.166 0.166 0.166
O 0.108 0.832 0.871
O 0.101 0.583 0.225
O 0.583 0.225 0.101
O 0.843 0.104 0.116
O 0.357 0.572 0.142
O 0.642 0.072 0.857
O 0.604 0.343 0.616
O 0.367 0.800 0.812
O 0.332 0.608 0.371
O 0.648 0.385 0.077
O 0.385 0.077 0.648
O 0.860 0.121 0.303
O 0.666 0.666 0.666
O 0.601 0.725 0.083
O 0.371 0.332 0.608
O 0.715 0.882 0.579
O 0.360 0.803 0.621
O 0.850 0.404 0.062
O 0.725 0.083 0.601
O 0.121 0.303 0.860
O 0.803 0.621 0.360
O 0.579 0.715 0.882
O 0.350 0.562 0.904
O 0.382 0.215 0.079
O 0.832 0.871 0.108
O 0.800 0.812 0.367
O 0.608 0.371 0.332
O 0.867 0.312 0.300
O 0.812 0.367 0.800
O 0.142 0.357 0.572
O 0.343 0.616 0.604
O 0.404 0.062 0.850
O 0.148 0.577 0.885
O 0.616 0.604 0.343
O 0.885 0.148 0.577
O 0.857 0.642 0.072
O 0.562 0.904 0.350
O 0.577 0.885 0.148
O 0.215 0.079 0.382
O 0.303 0.860 0.121
O 0.300 0.867 0.312
O 0.225 0.101 0.583
O 0.871 0.108 0.832
O 0.312 0.300 0.867
O 0.079 0.382 0.215
O 0.077 0.648 0.385
O 0.116 0.843 0.104
O 0.572 0.142 0.357
O 0.904 0.350 0.562

# 2
! K4CaW3O12, optimized geometry, DFT GGA+U; values from VASP
! E (MP2020) ... -151.64 eV for the cell shown
! Density ... 5.65 g/cm3
! Total magnetization ... 0.000 μB per atom
&SYSTEM
  ibrav = 0, nat = 20, ntyp = 4
/
ATOMIC_SPECIES
K 39.10 K.upf
Ca 40.08 Ca.upf
W 183.84 W.upf
O 16.00 O.upf
CELL_PARAMETERS angstrom
-4.103 4.103 4.103
4.103 -4.103 4.103
4.103 4.103 -4.103
ATOMIC_POSITIONS crystal
K 0.000 0.500 0.000
K 0.500 0.000 0.000
K 0.000 0.000 0.500
K 0.500 0.500 0.500
Ca 0.000 0.000 0.000
W 0.500 0.000 0.500
W 0.000 0.500 0.500
W 0.500 0.500 0.000
O 0.250 0.750 0.500
O 0.750 0.500 0.250
O 0.250 0.500 0.750